(Wanted)
Please quote everything further below word for word.

(Contents)
Entry 1:
Computed, not measured: a relaxed structure of U2S3 at the PBE level of DFT.

- DFT formation energy (eV/atom) = -1.60
- crystal system = orthorhombic
- SG = Pnma (62)
- size of the total moment (μB/f.u.) = 5.63

Unit cell a=3.918 b=10.419 c=11.612 alpha=90.00 beta=90.00 gamma=90.00
Positions (direct):
S 0.250 0.824 0.294
S 0.250 0.324 0.206
S 0.750 0.854 0.559
S 0.750 0.354 0.941
U 0.750 0.320 0.508
S 0.250 0.456 0.618
S 0.250 0.646 0.059
U 0.250 0.180 0.008
S 0.250 0.146 0.441
S 0.750 0.544 0.382
S 0.250 0.956 0.882
U 0.250 0.015 0.648
S 0.750 0.176 0.706
S 0.750 0.044 0.118
S 0.750 0.676 0.794
U 0.250 0.680 0.492
U 0.750 0.985 0.352
U 0.250 0.515 0.852
U 0.750 0.820 0.992
U 0.750 0.485 0.148

---

Entry 2:
Computed, not measured: a relaxed structure of Sr2NbInO6 at the PBE level of DFT.

- DFT formation energy (eV/atom) = -2.94
- crystal system = cubic
- SG = Fm-3m (225)
- size of the total moment (μB/f.u.) = 0.00

Unit cell a=5.854 b=5.854 c=5.854 alpha=60.00 beta=60.00 gamma=60.00
Positions (direct):
O 0.758 0.242 0.758
O 0.242 0.758 0.758
Sr 0.750 0.750 0.750
O 0.758 0.242 0.242
In 0.500 0.500 0.500
Sr 0.250 0.250 0.250
Nb 0.000 0.000 0.000
O 0.242 0.242 0.758
O 0.758 0.758 0.242
O 0.242 0.758 0.242

---

Entry 3:
Computed, not measured: a relaxed structure of AlH4NF4 at the PBE level of DFT.

- DFT formation energy (eV/atom) = -2.16
- crystal system = tetragonal
- SG = P4_2/ncm (138)
- polymorph energy (0 for the lowest one) (meV per atom) = 3
- size of the total moment (μB/f.u.) = 0.00

Unit cell a=11.758 b=11.758 c=12.919 alpha=90.00 beta=90.00 gamma=90.00
Positions (direct):
N 0.250 0.750 0.500
F 0.044 0.694 0.108
F 0.751 0.905 0.254
F 0.649 0.457 0.881
F 0.966 0.966 0.724
H 0.249 0.822 0.454
F 0.043 0.649 0.381
F 0.683 0.108 0.765
Al 0.325 0.957 0.753
F 0.250 0.250 0.607
F 0.892 0.183 0.735
F 0.095 0.249 0.746
F 0.750 0.750 0.115
F 0.694 0.044 0.108
F 0.183 0.892 0.735
F 0.251 0.095 0.246
F 0.108 0.817 0.265
F 0.817 0.392 0.765
H 0.650 0.850 0.578
F 0.851 0.457 0.381
F 0.751 0.595 0.754
Al 0.043 0.675 0.247
F 0.306 0.956 0.892
F 0.095 0.251 0.246
H 0.467 0.366 0.497
H 0.634 0.967 0.003
F 0.250 0.250 0.385
N 0.750 0.250 0.500
Al 0.175 0.543 0.753
H 0.346 0.346 0.566
H 0.112 0.011 0.916
F 0.044 0.806 0.608
Al 0.175 0.957 0.253
F 0.405 0.249 0.246
N 0.410 0.090 0.444
H 0.586 0.586 0.976
F 0.683 0.392 0.265
H 0.749 0.178 0.046
F 0.544 0.306 0.392
N 0.406 0.094 0.043
H 0.822 0.249 0.454
H 0.134 0.033 0.497
F 0.806 0.044 0.608
H 0.086 0.086 0.024
Al 0.750 0.750 0.254
F 0.534 0.966 0.224
N 0.094 0.406 0.043
H 0.678 0.251 0.454
F 0.392 0.683 0.265
H 0.533 0.866 0.003
Al 0.250 0.250 0.246
F 0.034 0.466 0.776
F 0.817 0.108 0.265
H 0.251 0.678 0.454
H 0.414 0.414 0.024
Al 0.043 0.825 0.747
F 0.249 0.095 0.746
N 0.410 0.410 0.944
H 0.251 0.822 0.954
F 0.456 0.694 0.608
Al 0.457 0.675 0.747
H 0.749 0.322 0.546
Al 0.457 0.825 0.247
N 0.590 0.590 0.056
N 0.594 0.906 0.957
F 0.149 0.957 0.119
H 0.888 0.989 0.084
F 0.595 0.749 0.254
H 0.866 0.967 0.503
H 0.634 0.533 0.503
F 0.957 0.149 0.119
H 0.058 0.058 0.608
H 0.914 0.914 0.976
F 0.034 0.034 0.276
H 0.112 0.489 0.416
F 0.749 0.905 0.754
H 0.011 0.388 0.416
F 0.456 0.806 0.108
N 0.906 0.906 0.457
H 0.178 0.751 0.546
H 0.942 0.942 0.392
Al 0.325 0.543 0.253
H 0.489 0.388 0.916
H 0.846 0.846 0.434
F 0.544 0.194 0.892
H 0.678 0.249 0.954
F 0.183 0.608 0.235
N 0.406 0.406 0.543
H 0.942 0.558 0.892
H 0.654 0.846 0.934
Al 0.543 0.175 0.753
F 0.534 0.534 0.724
F 0.149 0.543 0.619
F 0.649 0.043 0.381
H 0.612 0.511 0.084
F 0.608 0.317 0.735
F 0.457 0.649 0.881
H 0.033 0.134 0.497
H 0.178 0.749 0.046
F 0.905 0.751 0.254
F 0.250 0.250 0.107
F 0.543 0.149 0.619
H 0.467 0.134 0.997
Al 0.250 0.250 0.746
N 0.910 0.590 0.556
N 0.094 0.094 0.543
H 0.914 0.586 0.476
F 0.750 0.750 0.393
F 0.892 0.317 0.235
F 0.194 0.544 0.892
H 0.586 0.914 0.476
F 0.608 0.183 0.235
Al 0.825 0.043 0.747
Al 0.675 0.457 0.747
F 0.249 0.405 0.246
H 0.967 0.634 0.003
F 0.194 0.956 0.392
H 0.414 0.086 0.524

(Response)
Entry 1:
Computed, not measured: a relaxed structure of U2S3 at the PBE level of DFT.

- DFT formation energy (eV/atom) = -1.60
- crystal system = orthorhombic
- SG = Pnma (62)
- size of the total moment (μB/f.u.) = 5.63

Unit cell a=3.918 b=10.419 c=11.612 alpha=90.00 beta=90.00 gamma=90.00
Positions (direct):
S 0.250 0.824 0.294
S 0.250 0.324 0.206
S 0.750 0.854 0.559
S 0.750 0.354 0.941
U 0.750 0.320 0.508
S 0.250 0.456 0.618
S 0.250 0.646 0.059
U 0.250 0.180 0.008
S 0.250 0.146 0.441
S 0.750 0.544 0.382
S 0.250 0.956 0.882
U 0.250 0.015 0.648
S 0.750 0.176 0.706
S 0.750 0.044 0.118
S 0.750 0.676 0.794
U 0.250 0.680 0.492
U 0.750 0.985 0.352
U 0.250 0.515 0.852
U 0.750 0.820 0.992
U 0.750 0.485 0.148

---

Entry 2:
Computed, not measured: a relaxed structure of Sr2NbInO6 at the PBE level of DFT.

- DFT formation energy (eV/atom) = -2.94
- crystal system = cubic
- SG = Fm-3m (225)
- size of the total moment (μB/f.u.) = 0.00

Unit cell a=5.854 b=5.854 c=5.854 alpha=60.00 beta=60.00 gamma=60.00
Positions (direct):
O 0.758 0.242 0.758
O 0.242 0.758 0.758
Sr 0.750 0.750 0.750
O 0.758 0.242 0.242
In 0.500 0.500 0.500
Sr 0.250 0.250 0.250
Nb 0.000 0.000 0.000
O 0.242 0.242 0.758
O 0.758 0.758 0.242
O 0.242 0.758 0.242

---

Entry 3:
Computed, not measured: a relaxed structure of AlH4NF4 at the PBE level of DFT.

- DFT formation energy (eV/atom) = -2.16
- crystal system = tetragonal
- SG = P4_2/ncm (138)
- polymorph energy (0 for the lowest one) (meV per atom) = 3
- size of the total moment (μB/f.u.) = 0.00

Unit cell a=11.758 b=11.758 c=12.919 alpha=90.00 beta=90.00 gamma=90.00
Positions (direct):
N 0.250 0.750 0.500
F 0.044 0.694 0.108
F 0.751 0.905 0.254
F 0.649 0.457 0.881
F 0.966 0.966 0.724
H 0.249 0.822 0.454
F 0.043 0.649 0.381
F 0.683 0.108 0.765
Al 0.325 0.957 0.753
F 0.250 0.250 0.607
F 0.892 0.183 0.735
F 0.095 0.249 0.746
F 0.750 0.750 0.115
F 0.694 0.044 0.108
F 0.183 0.892 0.735
F 0.251 0.095 0.246
F 0.108 0.817 0.265
F 0.817 0.392 0.765
H 0.650 0.850 0.578
F 0.851 0.457 0.381
F 0.751 0.595 0.754
Al 0.043 0.675 0.247
F 0.306 0.956 0.892
F 0.095 0.251 0.246
H 0.467 0.366 0.497
H 0.634 0.967 0.003
F 0.250 0.250 0.385
N 0.750 0.250 0.500
Al 0.175 0.543 0.753
H 0.346 0.346 0.566
H 0.112 0.011 0.916
F 0.044 0.806 0.608
Al 0.175 0.957 0.253
F 0.405 0.249 0.246
N 0.410 0.090 0.444
H 0.586 0.586 0.976
F 0.683 0.392 0.265
H 0.749 0.178 0.046
F 0.544 0.306 0.392
N 0.406 0.094 0.043
H 0.822 0.249 0.454
H 0.134 0.033 0.497
F 0.806 0.044 0.608
H 0.086 0.086 0.024
Al 0.750 0.750 0.254
F 0.534 0.966 0.224
N 0.094 0.406 0.043
H 0.678 0.251 0.454
F 0.392 0.683 0.265
H 0.533 0.866 0.003
Al 0.250 0.250 0.246
F 0.034 0.466 0.776
F 0.817 0.108 0.265
H 0.251 0.678 0.454
H 0.414 0.414 0.024
Al 0.043 0.825 0.747
F 0.249 0.095 0.746
N 0.410 0.410 0.944
H 0.251 0.822 0.954
F 0.456 0.694 0.608
Al 0.457 0.675 0.747
H 0.749 0.322 0.546
Al 0.457 0.825 0.247
N 0.590 0.590 0.056
N 0.594 0.906 0.957
F 0.149 0.957 0.119
H 0.888 0.989 0.084
F 0.595 0.749 0.254
H 0.866 0.967 0.503
H 0.634 0.533 0.503
F 0.957 0.149 0.119
H 0.058 0.058 0.608
H 0.914 0.914 0.976
F 0.034 0.034 0.276
H 0.112 0.489 0.416
F 0.749 0.905 0.754
H 0.011 0.388 0.416
F 0.456 0.806 0.108
N 0.906 0.906 0.457
H 0.178 0.751 0.546
H 0.942 0.942 0.392
Al 0.325 0.543 0.253
H 0.489 0.388 0.916
H 0.846 0.846 0.434
F 0.544 0.194 0.892
H 0.678 0.249 0.954
F 0.183 0.608 0.235
N 0.406 0.406 0.543
H 0.942 0.558 0.892
H 0.654 0.846 0.934
Al 0.543 0.175 0.753
F 0.534 0.534 0.724
F 0.149 0.543 0.619
F 0.649 0.043 0.381
H 0.612 0.511 0.084
F 0.608 0.317 0.735
F 0.457 0.649 0.881
H 0.033 0.134 0.497
H 0.178 0.749 0.046
F 0.905 0.751 0.254
F 0.250 0.250 0.107
F 0.543 0.149 0.619
H 0.467 0.134 0.997
Al 0.250 0.250 0.746
N 0.910 0.590 0.556
N 0.094 0.094 0.543
H 0.914 0.586 0.476
F 0.750 0.750 0.393
F 0.892 0.317 0.235
F 0.194 0.544 0.892
H 0.586 0.914 0.476
F 0.608 0.183 0.235
Al 0.825 0.043 0.747
Al 0.675 0.457 0.747
F 0.249 0.405 0.246
H 0.967 0.634 0.003
F 0.194 0.956 0.392
H 0.414 0.086 0.524